**Material**
102
Properties=species:S:1:pos:R:3:lowdin_charge:R:1 method="wB97M-V/def2-TZVPD" homo_lumo_gap_ev=9.45 e_lumo_ev=-0.027 smiles="CC(N)=O.CC(N)=O.CC(N)=O.CC(N)=O.CC(N)=O.CC(N)=O.CC(C)O.CC(C)O.ClCCCl.ClCCCl.ClCCCl" charge=0 e_homo_ev=-9.5 total_energy_ev=-126284.972
C -6.82 1.41 -3.02 0.00
C -6.91 0.87 -4.40 -0.71
N -6.80 -0.37 -4.67 0.17
O -7.10 1.65 -5.30 0.03
H -5.77 1.66 -2.86 0.09
H -7.25 0.65 -2.36 0.08
H -7.39 2.33 -2.97 0.09
H -6.77 -0.66 -5.64 0.13
H -6.61 -1.09 -3.99 0.12
C 9.17 4.59 0.91 -0.01
C 9.81 5.52 -0.08 -0.62
N 9.31 6.74 -0.24 0.15
O 10.82 5.22 -0.72 0.01
H 9.23 4.88 1.96 0.08
H 9.60 3.62 0.67 0.09
H 8.10 4.64 0.71 0.08
H 9.74 7.30 -0.97 0.12
H 8.58 7.12 0.35 0.11
C 3.87 9.62 -2.15 0.00
C 3.03 8.57 -1.38 -0.69
N 1.75 8.75 -1.41 0.17
O 3.57 7.77 -0.70 0.06
H 4.51 10.18 -1.47 0.08
H 3.31 10.28 -2.80 0.06
H 4.50 9.05 -2.83 0.08
H 1.17 8.13 -0.87 0.13
H 1.45 9.50 -2.02 0.11
C -5.98 0.54 5.55 -0.01
C -6.72 -0.51 4.75 -0.62
N -7.95 -0.91 5.09 0.16
O -6.07 -1.05 3.87 0.02
H -6.69 1.08 6.18 0.06
H -5.49 1.27 4.91 0.09
H -5.29 0.01 6.21 0.09
H -8.41 -0.42 5.85 0.10
H -8.44 -1.39 4.36 0.11
C 5.31 -1.32 -3.81 0.00
C 6.18 -0.44 -4.75 -0.59
N 5.86 0.82 -4.96 0.15
O 7.08 -0.93 -5.45 0.00
H 5.03 -0.81 -2.88 0.07
H 5.96 -2.16 -3.56 0.08
H 4.36 -1.61 -4.24 0.08
H 6.26 1.28 -5.77 0.12
H 5.22 1.37 -4.41 0.11
C 1.81 -8.17 -0.02 0.00
C 0.56 -7.96 -0.91 -0.63
N -0.25 -6.95 -0.73 0.16
O 0.33 -8.77 -1.78 0.03
H 2.71 -7.95 -0.59 0.08
H 1.82 -9.16 0.43 0.08
H 1.77 -7.51 0.84 0.06
H -1.12 -6.92 -1.25 0.12
H 0.02 -6.17 -0.14 0.11
C -7.32 -7.41 -1.62 -0.06
C -7.12 -6.58 -0.38 -0.56
C -6.48 -7.28 0.78 -0.06
O -6.32 -5.49 -0.64 -0.04
H -8.09 -8.16 -1.43 0.08
H -6.49 -8.09 -1.84 0.08
H -7.59 -6.87 -2.52 0.08
H -8.12 -6.26 -0.11 0.13
H -7.04 -8.20 0.96 0.08
H -6.52 -6.65 1.67 0.08
H -5.46 -7.64 0.63 0.09
H -6.27 -5.01 0.18 0.09
C -0.35 0.56 -1.38 -0.05
C 0.21 1.80 -0.59 -0.46
C 0.59 1.51 0.88 -0.07
O 1.37 2.17 -1.38 -0.07
H -1.31 0.34 -0.92 0.07
H 0.21 -0.35 -1.16 0.07
H -0.40 0.81 -2.44 0.08
H -0.61 2.51 -0.59 0.12
H 1.35 0.74 0.96 0.08
H -0.25 1.24 1.52 0.08
H 0.95 2.41 1.38 0.07
H 1.90 2.76 -0.84 0.08
Cl 0.06 -5.45 9.00 0.57
C -1.33 -4.56 8.43 -0.71
C -1.64 -4.90 6.98 -0.67
Cl -0.42 -4.15 5.94 0.55
H -1.13 -3.49 8.49 0.06
H -2.09 -4.77 9.18 0.07
H -2.67 -4.61 6.80 0.08
H -1.48 -5.96 6.75 0.05
Cl 6.39 1.95 7.46 0.56
C 5.33 0.62 7.02 -0.67
C 6.06 -0.72 7.19 -0.64
Cl 6.43 -1.23 8.89 0.50
H 4.99 0.78 5.99 0.07
H 4.52 0.64 7.74 0.06
H 7.03 -0.62 6.71 0.06
H 5.52 -1.59 6.83 0.06
Cl 1.06 6.50 -7.63 0.53
C -0.23 5.30 -7.44 -0.68
C -1.10 5.22 -8.67 -0.62
Cl -0.32 4.29 -10.05 0.49
H -0.71 5.57 -6.50 0.07
H 0.22 4.31 -7.37 0.06
H -1.35 6.22 -9.02 0.07
H -1.98 4.65 -8.37 0.07



102
Properties=species:S:1:pos:R:3:lowdin_charge:R:1 method="wB97M-V/def2-TZVPD" homo_lumo_gap_ev=6.13 e_lumo_ev=-0.324 charge=0 e_homo_ev=-6.5 total_energy_ev=-142581.850
O 1.39 0.36 0.37 -0.37
V -0.10 -0.19 0.51 0.81
O -0.12 -1.63 -0.12 -0.35
C -1.64 0.85 -3.90 -0.02
C -0.26 1.08 -3.24 -0.50
C 0.62 1.87 -4.22 -0.14
C 0.18 3.33 -4.30 -0.18
C 0.35 3.93 -2.91 -0.14
C -0.40 3.19 -1.77 -0.51
N -0.29 1.77 -1.97 -0.15
O -1.01 1.07 -1.01 -0.25
C -1.87 3.68 -1.75 -0.02
C 0.32 3.63 -0.50 -0.05
C 0.41 -0.29 -3.07 -0.03
H -1.79 -0.18 -4.22 0.08
H -1.78 1.46 -4.80 0.07
H -2.54 1.14 -3.35 0.06
H 0.46 1.37 -5.18 0.12
H 1.69 1.82 -3.99 0.11
H -0.84 3.46 -4.68 0.10
H 0.83 3.87 -4.99 0.11
H -0.13 4.91 -3.01 0.11
H 1.39 4.07 -2.63 0.11
H -2.33 3.63 -2.73 0.08
H -1.81 4.75 -1.52 0.08
H -2.38 3.24 -0.89 0.06
H 1.24 3.07 -0.34 0.09
H -0.38 3.38 0.31 0.04
H 0.49 4.71 -0.50 0.09
H -0.23 -1.00 -2.55 0.06
H 1.36 -0.16 -2.55 0.08
H 0.77 -0.65 -4.04 0.09
C -4.65 0.07 -1.79 -0.08
C -3.83 -1.14 -1.36 -0.12
O -4.54 -1.64 -0.24 0.03
C -5.78 -1.12 -0.21 -0.60
O -6.60 -1.38 0.62 0.15
O -5.95 -0.22 -1.19 0.06
H -4.84 0.08 -2.86 0.13
H -4.30 0.98 -1.32 0.13
H -2.78 -0.91 -1.19 0.10
H -3.81 -1.87 -2.17 0.13
C 4.92 3.34 -1.26 -0.27
S 4.80 2.16 -2.64 0.80
O 6.13 2.16 -3.28 -0.55
C 4.67 0.69 -1.59 -0.27
**To do**
Find "1.35 0.74" and "0.51 0.81" in the data earlier on, and retype these two lines and those between.
**Outcome**
H 1.35 0.74 0.96 0.08
H -0.25 1.24 1.52 0.08
H 0.95 2.41 1.38 0.07
H 1.90 2.76 -0.84 0.08
Cl 0.06 -5.45 9.00 0.57
C -1.33 -4.56 8.43 -0.71
C -1.64 -4.90 6.98 -0.67
Cl -0.42 -4.15 5.94 0.55
H -1.13 -3.49 8.49 0.06
H -2.09 -4.77 9.18 0.07
H -2.67 -4.61 6.80 0.08
H -1.48 -5.96 6.75 0.05
Cl 6.39 1.95 7.46 0.56
C 5.33 0.62 7.02 -0.67
C 6.06 -0.72 7.19 -0.64
Cl 6.43 -1.23 8.89 0.50
H 4.99 0.78 5.99 0.07
H 4.52 0.64 7.74 0.06
H 7.03 -0.62 6.71 0.06
H 5.52 -1.59 6.83 0.06
Cl 1.06 6.50 -7.63 0.53
C -0.23 5.30 -7.44 -0.68
C -1.10 5.22 -8.67 -0.62
Cl -0.32 4.29 -10.05 0.49
H -0.71 5.57 -6.50 0.07
H 0.22 4.31 -7.37 0.06
H -1.35 6.22 -9.02 0.07
H -1.98 4.65 -8.37 0.07



102
Properties=species:S:1:pos:R:3:lowdin_charge:R:1 method="wB97M-V/def2-TZVPD" homo_lumo_gap_ev=6.13 e_lumo_ev=-0.324 charge=0 e_homo_ev=-6.5 total_energy_ev=-142581.850
O 1.39 0.36 0.37 -0.37
V -0.10 -0.19 0.51 0.81